Tuesday, October 26, 2004

Pre-dinner post

I finished my essay! It wasn't very good quality but at least I finished it, and although it wasn't brilliant it was acceptable and verging on good I think. I really should learn to work harder, sooner, and maybe I won't have these mad panics to try and meet a deadline finishing up with a mediocre piece of work. Mneh. Anyway, I think I worked hard enough over the past day to earn a magazine when I go shopping tonight. Hurray! I'm free!
My keyboard is covered in glitter at the minute, and my printer, and my jeans that I dumped down by my printer the other day. I think it was from Thursday night when I applied glitter spray to my hair three times. And to my computer, and my printer, and the jeans next to my printer :-). Am I bothered about the sparkliness of my room? If you need to ask me that question you don't know me at all. I am very tired but things like glittery keyboards and the lack of essays and the thought of a lovely dinner when I am hungry enough to really appreciate it have put me in a good mood today. Oh and I went to get PGCE info from Westwood today - it took me about half an hour to find any form of civilisation there but in the end I got it - and I've been meaning to do that for weeks so it's satisfying to know that my essay wasn't the only form of productiveness that came out of today.
Well my dinner's ready now so I'm off to eat. It will be Co-op chicken with lime and coriander with a jacket potato. Said chicken product is fabulous. You don't even have to cook it! Oh and also, go and buy Gu chocolate truffle pot things, in a black box, next time you go shopping - they're about £2.50 for 2 but they're sooo worth it. Must get some tonight. Where was I? Oh yes, dinner. Must eat.

Saturday, October 23, 2004

Will this essay ever end?!

Probably not, if I don't do any work on it. But I'm waiting for my hair to dry, that's my excuse now, then I need to go to the shop and I'll probably be hungry by then - oh what a hectic life I lead. I don't seem to have posted for a good few days, but what you won't be aware of is that I accidentally deleted the last two posts. Hopefully I have learnt from those mistakes and this one won't be deleted too - well if you're reading this, it clearly hasn't been deleted, so hurrah!
I really am bored of the work I get for my course now. It's always on the dullest of topics - why does anyone want to know how a worm you can't even see develops from a single cell? Why don't I get to study how monkeys develop? Without the stupid acronym stuff that goes into far too much detail? The fact that I'm thinking like this makes me wonder if I'm doing the right Biology course. I think I'm not, but then there's nothing I can do about that now.

Between two parts of the piece: materials data
<<<
Ti2ZnO4 | PBE | optimized geometry

Calculated values
Spin magnetization = 0.29 μB/atom
Distance to the lowest polymorph of the same formula = 140 meV per atom
MP2020-corrected energy = -7.99 eV per atom
Volume = 11.4 Å³ per atom
ΔE_f = -2726 meV/atom

a = 6.1031 Å, b = 6.1031 Å, c = 6.1031 Å
α = 121.14°, β = 119.74°, γ = 89.25°
Sites, in units of the cell vectors:
1 Ti 0.5000 0.5000 0.5000
2 O 0.7417 0.2498 0.0080
3 O 0.7417 0.7337 0.4920
4 O 0.2651 0.7559 0.5091
5 O 0.2583 0.7502 0.9920
6 Ti 0.8689 0.1189 0.7500
7 Zn 0.5000 0.5000 0.0000
8 O 0.2583 0.2663 0.5080
9 Zn 0.0000 0.5000 0.5000
10 O 0.7468 0.7559 0.9909
11 O 0.7349 0.2441 0.4909
12 Ti 0.5000 0.0000 0.0000
13 O 0.2532 0.2441 0.0091
14 Ti 0.1311 0.8811 0.2500

----------

(A)
# LiFe2OF3

An optimized crystal structure of LiFe2OF3 (PBE with a Hubbard U, the Materials Project database).

Cell: 5.203 6.113 6.160 Å, 59.96 90.15 90.17°
Positions (direct):
1 Li 0.027 0.666 0.669
2 Li 0.973 0.334 0.331
3 Fe 0.500 0.500 0.000
4 Fe 0.000 0.000 0.000
5 Fe 0.500 0.500 0.500
6 Fe 0.500 0.000 0.500
7 O 0.663 0.664 0.670
8 O 0.336 0.336 0.330
9 F 0.782 0.175 0.650
10 F 0.218 0.825 0.350
11 F 0.215 0.336 0.829
12 F 0.218 0.831 0.827
13 F 0.785 0.664 0.171
14 F 0.782 0.169 0.173

Output
Crystal system   triclinic

(B)
# LiFe2OF3

An optimized crystal structure of LiFe2OF3 (PBE with a Hubbard U, the Materials Project database).

Cell: 6.125 6.173 10.361 Å, 90.33 90.20 119.53°
Positions (direct):
1 Li 0.332 0.663 0.012
2 Li 0.331 0.662 0.513
3 Li 0.669 0.338 0.487
4 Li 0.668 0.337 0.987
5 Fe 0.000 0.000 0.500
6 Fe 0.500 0.999 0.250
7 Fe 0.500 0.001 0.750
8 Fe 0.000 0.000 0.000
9 Fe 0.000 0.500 0.250
10 Fe 0.001 0.500 0.750
11 Fe 0.501 0.501 0.250
12 Fe 0.499 0.499 0.750
13 O 0.328 0.657 0.333
14 O 0.329 0.659 0.833
15 O 0.671 0.341 0.167
16 O 0.672 0.343 0.667
17 F 0.827 0.654 0.394
18 F 0.831 0.659 0.897
19 F 0.169 0.341 0.103
20 F 0.173 0.346 0.606
21 F 0.180 0.835 0.109
22 F 0.182 0.840 0.609
23 F 0.651 0.836 0.111
24 F 0.656 0.840 0.609
25 F 0.818 0.160 0.391
26 F 0.820 0.165 0.891
27 F 0.344 0.160 0.391
28 F 0.349 0.164 0.889

Output
Crystal system   triclinic

(C)
# LiFe2OF3

An optimized crystal structure of LiFe2OF3 (PBE with a Hubbard U, the Materials Project database).

Cell: 6.230 6.278 8.627 Å, 91.06 90.04 90.20°
Positions (direct):
1 Li 0.752 0.993 0.982
2 Li 0.269 0.989 0.506
3 Li 0.498 0.254 0.748
4 Li 0.001 0.259 0.746
5 Fe 0.006 0.751 0.236
6 Fe 0.507 0.746 0.272
7 Fe 0.731 0.760 0.639
8 Fe 0.214 0.776 0.873
9 Fe 0.753 0.506 0.999
10 Fe 0.262 0.507 0.510
11 Fe 0.747 0.288 0.370
12 Fe 0.244 0.179 0.121
13 O 0.262 0.947 0.259
14 O 0.475 0.734 0.516
15 O 0.961 0.752 0.994
16 O 0.754 0.540 0.246
17 F 0.761 0.008 0.248
18 F 0.511 0.759 0.986
19 F 0.014 0.753 0.510
20 F 0.253 0.478 0.239
21 F 0.747 0.468 0.751
22 F 0.248 0.478 0.756
23 F 0.027 0.274 0.504
24 F 0.982 0.240 0.989
25 F 0.523 0.246 0.992
26 F 0.489 0.241 0.509
27 F 0.759 0.036 0.752
28 F 0.249 0.039 0.747

Output
>>>
The piece goes on

Tuesday, October 19, 2004

Colosseum madness

I have just returned from the Colosseum. I had to check the spelling of that. I thought there was a double letter in there somewhere, but it seems not. Anyway, it is a brilliant place with lots of... well, not really that brilliant people, except the ones I came with, but still, cheap drinks can never be frowned upon. And to get chatted up by two scallies is kind of flattering and better than nobody at all. There will be more standing on balconies I think. Yes. Hmmm I have just looked at my right arm and it looks like I have black stuff on it - don't know where that came from, maybe the bar thing of the balcony. Intriguing. My hair smells of smoke too. How annoying.
Oh yes, I saw The Passion of the Christ yesterday. It was very gory but I think it needed to be. Although I avoided looking at the screen for most of the film. I really shouldn't be posting at the minute - I may regret it in the morning. I see no spelling mistakes now, and I'm not blabbing about how much I love you all, but this may change in the morning. So I'll go to bed now I think. Nighty night xxx

Monday, October 18, 2004

Does photo posting work?

The wonderful Joseph Fiennes

Hurrah! Or not, depending whether this worked... look, it's Joseph Fiennes! Isn't he lovely? Isn't he wonderful? Now I can go to bed. Although there's still a picture of him on the sidebar, when I've deleted it from the template. Hopefully that will have magically disappeared by tomorrow - I'll have to wait and see. Oh the suspense.

Sunday, October 17, 2004

[Materials data, kept here for reference]
~~~
A plane-wave DFT calculation with GGA-PBE was carried out for a relaxed structure of LiTiNbO4. Values from VASP.

Cell and atoms, written as Quantum ESPRESSO input:
```
&SYSTEM
  ibrav = 0, nat = 14, ntyp = 4
/
ATOMIC_SPECIES
Li 6.94 Li.upf
Ti 47.87 Ti.upf
Nb 92.91 Nb.upf
O 16.00 O.upf
ATOMIC_POSITIONS angstrom
Li 3.0321 1.5290 -1.0890
Li 0.0000 1.5290 5.4141
Ti 0.0000 0.0000 0.0000
Ti 0.0000 3.0580 0.0000
Nb -1.5160 1.5290 2.1626
Nb 1.5160 1.5290 2.1626
O 1.6817 -1.5290 4.3970
O 0.0000 0.0687 2.0469
O 0.0000 2.9894 2.0469
O 1.3504 1.5290 0.0718
O 1.6817 1.5290 4.2533
O 3.0321 2.9894 2.2783
O 3.0321 0.0687 2.2783
O 1.3504 4.5871 -0.0718
CELL_PARAMETERS angstrom
-3.0321 3.0580 4.3252
3.0321 -3.0580 4.3252
3.0321 3.0580 -4.3252
```

## Properties
The space group is Imma (74). The formation energy comes out at -2.919 eV per atom. The size of the total moment comes out at 0.1 μB/cell. The value obtained for the total energy is -114.77 eV per cell. The corrected total energy (MP2020 scheme) is -120.26 eV per cell.


(1)
A relaxed structure of Na4CaTi3P6O24. Source: the Materials Project, functional PBE-GGA.

Summary:
**E_form**: -2.945 eV/atom
**Spin magnetization**: 0.00 Bohr magnetons per cell

The structure in extended XYZ format:
```
114
Lattice="8.854 0.015 0.004 -4.414 7.673 -0.005 0.009 -0.010 22.334" Properties=species:S:1:pos:R:3 pbc="T T T"
O 0.586 1.519 15.541
O -0.619 6.673 19.175
O 3.665 5.983 6.916
O 4.909 1.082 9.486
O 0.814 1.329 18.054
O 6.039 2.377 11.898
O 2.710 2.273 16.809
O 3.471 3.831 20.638
O -3.460 6.186 9.390
O 1.541 0.173 13.137
O -2.763 7.447 4.313
O 5.392 1.256 0.698
O 2.825 7.448 15.512
O -1.569 5.091 10.547
O 1.807 0.209 6.799
O -1.532 5.447 16.904
O 3.825 1.076 20.642
O 7.945 1.252 13.122
O 0.813 3.762 1.473
O 0.831 3.791 10.556
O 5.071 6.290 1.907
O 1.053 6.305 16.919
O 5.087 4.052 0.697
O -0.985 6.280 5.670
O -0.612 1.541 4.323
O 0.894 1.255 1.907
O 5.206 6.291 18.060
O 2.345 2.887 3.172
O 2.913 2.912 9.447
O 0.502 3.588 16.938
O 3.465 1.271 11.898
O -0.633 3.605 21.639
O -0.778 6.516 12.732
O 3.185 4.076 14.244
O 0.622 6.680 8.027
O 3.822 6.266 13.123
O 5.475 3.699 9.455
O 7.292 0.042 18.043
O 0.729 1.602 9.432
O 5.189 4.128 16.819
O 1.517 5.397 5.691
O -0.954 6.432 21.643
O -0.804 3.727 12.740
O -1.658 4.897 8.037
O 1.606 5.152 12.714
O 5.756 4.215 3.169
O 6.098 2.564 5.396
O 2.682 7.434 9.369
O 6.028 2.774 20.643
O -1.572 5.094 1.469
O -1.016 3.771 19.172
O 3.783 4.141 11.752
O 3.593 1.120 5.398
O -2.782 7.499 20.313
O 0.775 6.504 1.474
O -0.503 3.662 5.689
O -3.412 6.374 15.537
O 5.485 1.151 16.783
O 7.758 1.457 6.802
O 2.824 2.387 0.699
O 5.188 0.602 3.171
O 1.672 5.309 21.680
O 0.760 6.474 10.533
O 3.445 6.399 4.404
O 7.327 0.149 1.915
O 1.032 3.804 8.055
O 6.426 2.856 14.380
O 1.650 4.898 19.232
O -0.655 1.482 20.314
O 3.486 6.356 20.315
O 3.629 4.028 5.428
O 3.704 0.685 14.377
Na 0.014 5.118 3.580
Na 0.062 0.099 11.158
Na 4.373 2.657 18.674
Na 3.318 5.186 9.297
Na 7.156 2.827 16.664
Na 5.679 0.093 5.500
~~~

Ooh I feel all Celtic and imp-like

I actually did some work today! Ok so it took me a while to get to a stage where I wrote anything out at all, but I started at about 2pm I think and finished about 5 minutes ago so that's, what, almost four hours of work? That's rather good I think. I really do think I chose the right degree, but the wrong course though - all I seem to learn about is what acronym interacts with what acronym allowing it to interact with another acronym etc etc to the point that I never really know what I'm learning about, just that I have to know it. That isn't Biology to me. That's just pointless learning. Oh well, I'm stuck with it now - hopefully whatever I do after this will involve more proper Biology like it was at A-level, rather than the molecular stuff.
Passion of the Christ tonight, wahey! Today's thinking for me was, "work for a few hours, then destress with film later, and all will be rewarding and generally well." But I've just realised we're going to see possibly the most violent and un-light (heavy, oh yes that's the word) film ever made. So, a day of thinking about deep and meaningful (except for the Biology of course :-)) stuff. Hurrah. Tomorrow better be a little less demanding brain-wise.
Phil is playing Capercaillie folky-type music downstairs. Honestly, it's like living with the Corrs! But that would be good as they are fabulous. Ah now Alex is playing Superman. It is clashing with the good folky music. We can't have that. No, we can't have that. I'm going downstairs to make dinner.

Saturday, October 16, 2004

Cough cough cough cough cough cough cough

I can't remember when I got this cold-progressing-to-damn-annoying-cough thing but it is still here. I think it's been at least 2 weeks. Waaah. I don't think I have anything interesting to say today actually, it's just that I noticed I haven't blogged since Tuesday and that is a long time ago. Where is this term going?! It's already the end of week 3! Madness.
People should watch more children's TV - this week I have been mostly watching Tots' TV. Plus another programme with a fabulous song about there being "many different ways to get to 20p" (different combinations of coins, you see), that was great. But you won't appreciate its genius as the tune was what made it such a brilliant and wonderful ditty - ask me to sing it to you and you will see for yourself. Actually no. I'll make an effort to sing it as often as possible in the next week or so, that way everyone will get to hear it. What day is it today? Why, it's Pancake Day! I make the best pancakes in the world, and so for people who know me Pancake Day falls on 2 dates in a 365-day period. Woohoo.

Tuesday, October 12, 2004

Ode to my tutor

## Crystal structures that have nothing to do with the piece
# VGe2O6 | Materials Project | GGA+U | optimized geometry
data_VGe2O6
_space_group_name_H-M_alt 'P 1'
_space_group_IT_number 1
_cell_length_a 8.954
_cell_length_b 5.462
_cell_length_c 10.183
_cell_angle_alpha 76.02
_cell_angle_beta 90.00
_cell_angle_gamma 90.00
loop_
_space_group_symop_operation_xyz
'x,y,z'
loop_
_atom_site_label
_atom_site_fract_x
_atom_site_fract_y
_atom_site_fract_z
V1 0.344 0.723 0.238
V2 0.844 0.777 0.762
V3 0.656 0.277 0.762
V4 0.156 0.223 0.238
Ge1 0.667 0.802 0.051
Ge2 0.167 0.698 0.949
Ge3 0.333 0.198 0.949
Ge4 0.833 0.302 0.051
Ge5 0.653 0.627 0.480
Ge6 0.153 0.873 0.520
Ge7 0.347 0.373 0.520
Ge8 0.847 0.127 0.480
O1 0.723 0.939 0.411
O2 0.223 0.561 0.589
O3 0.277 0.061 0.589
O4 0.777 0.439 0.411
O5 0.701 0.066 0.116
O6 0.201 0.434 0.884
O7 0.299 0.934 0.884
O8 0.799 0.566 0.116
O9 0.031 0.178 0.404
O10 0.531 0.322 0.596
O11 0.969 0.822 0.596
O12 0.469 0.678 0.404
O13 0.009 0.193 0.121
O14 0.509 0.307 0.879
O15 0.991 0.807 0.879
O16 0.491 0.693 0.121
O17 0.678 0.887 0.872
O18 0.178 0.613 0.128
O19 0.322 0.113 0.128
O20 0.822 0.387 0.872
O21 0.702 0.613 0.663
O22 0.202 0.887 0.337
O23 0.298 0.387 0.337
O24 0.798 0.113 0.663
# Formation energy, meV/atom: -2138

# Li9Mn2Co5O16 | Materials Project | GGA+U | optimized geometry
data_Li9Mn2Co5O16
_space_group_name_H-M_alt 'P 1'
_space_group_IT_number 1
_cell_length_a 5.934
_cell_length_b 6.448
_cell_length_c 7.879
_cell_angle_alpha 88.66
_cell_angle_beta 103.86
_cell_angle_gamma 104.86
loop_
_space_group_symop_operation_xyz
'x,y,z'
loop_
_atom_site_label
_atom_site_fract_x
_atom_site_fract_y
_atom_site_fract_z
Li1 0.126 0.619 0.871
Li2 0.746 0.248 0.748
Li3 0.008 0.492 0.504
Li4 0.621 0.126 0.380
Li5 0.877 0.377 0.124
Li6 0.497 0.012 0.992
Li7 0.374 0.880 0.623
Li8 0.249 0.748 0.256
Li9 0.248 0.251 0.748
Mn1 0.005 0.001 0.998
Mn2 0.619 0.620 0.873
Co1 0.872 0.880 0.625
Co2 0.490 0.498 0.504
Co3 0.123 0.127 0.382
Co4 0.755 0.748 0.251
Co5 0.381 0.371 0.120
O1 0.930 0.699 0.051
O2 0.569 0.332 0.933
O3 0.783 0.579 0.692
O4 0.425 0.199 0.545
O5 0.674 0.451 0.301
O6 0.306 0.069 0.172
O7 0.151 0.941 0.819
O8 0.053 0.821 0.429
O9 0.329 0.572 0.699
O10 0.931 0.167 0.561
O11 0.200 0.424 0.324
O12 0.842 0.044 0.187
O13 0.077 0.302 0.957
O14 0.696 0.932 0.831
O15 0.577 0.798 0.442
O16 0.464 0.672 0.059
# Formation energy, meV/atom: -1833

# Co7As2O12 | Materials Project | GGA+U | optimized geometry
data_Co7As2O12
_space_group_name_H-M_alt 'P 1'
_space_group_IT_number 1
_cell_length_a 5.882
_cell_length_b 8.462
_cell_length_c 10.522
_cell_angle_alpha 114.39
_cell_angle_beta 106.31
_cell_angle_gamma 90.01
loop_
_space_group_symop_operation_xyz
'x,y,z'
loop_
_atom_site_label
_atom_site_fract_x
_atom_site_fract_y
_atom_site_fract_z
Co1 0.427 0.798 0.855
Co2 0.156 0.156 0.818
Co3 0.661 0.156 0.818
Co4 0.837 0.826 0.675
Co5 0.339 0.844 0.182
Co6 0.163 0.174 0.325
Co7 0.573 0.202 0.145
Co8 0.664 0.649 0.329
Co9 0.500 0.000 0.500
Co10 0.844 0.844 0.182
Co11 0.336 0.351 0.671

My tutor is a bitch. Sorry I just needed to say that. Nobody is about on campus and I have nothing else to do and I need to tell someone that. Thank you for listening :-) Bitch bitch bitch bitch bitch. She loves worms, there must be something wrong with her. Yes, that's it. She is a bitch.

Sunday, October 10, 2004

Reality check

You know when sometimes you think about stuff you always kind of wanted to do and have a fresh new inspiration to make sure you do it before you die, well I'm in that kind of a mood. Here's what I'm thinking about at the minute - I should:-
1. Learn to play the violin or some other instrument that lets me play folky-Riverdancy-music in little Irish pubs so people actually feel able to fully enjoy the music I'm playing. Rather than sitting still unable to even cough until the end of the piece and then clap politely and say "bravo!", or nothing at all if it's rubbish.
2. Learn to play the harp, because it always sound impressive whether you're rubbish or not. Can't remember ever having heard anyone play the harp badly.
3. Learn to improvise jazz and get a baritone sax. The musical theme to my ambitions stops here, honest.
4. Learn to dance, as in Latin and Ballroom-type stuff. I've been downloading 50s rock and roll-y songs, they should be listened to more often by people our age. It must have been cool when everyone could jive etc in those days. Incidentally, listen to "Swing, Swing, Swing" by Benny Goodman, especially the drum part by Gene Krupa, tis tres bon. I never realised I was a 60-year-old woman, hmmm.
5. Live in Edinburgh for a while! And other more distant places if I ever feel ambitious enough to leave the country.
6. Get over my extreme fear of the grapefruit-through-straw pain aspect of childbirth, create a little Kyle/Kylie and train him/her to help me with my Kylie clone army. But not for many, many, many years, obviously. Someone I know my age is already getting married, scary thought. Ok, too scary a thought, cold sweat, etc. Move on Kylie...
7. Learn to create lots of brilliant, fabulous sparkly things that people might want to buy and wear or put on their mantlepiece. Sparkly things make everyone happy. They should be scattered around hospitals.
8. Open the minds of people who are nice enough but are not nearly as open-minded as they think they are and as they should be. This is one of the reasons I am considering going into teaching. Oh and to teach people to use apostrophes properly and not to confuse, for example, the following words: your, you're, their, there. The terrible standard of spelling and grammar of kids these days makes me quite angry. Ok so I don't use perfect grammar in my blog posts and things but at least I know how to use it in a formal piece of writing.
9. Go to more live concerts, I mean of pop/rock/whatever you want to call it. I've only ever been to see Elton John. That was a bizarre and exciting experience. I want to go and see Coldplay or Keane when I have more money. I'm going to see Sarah McLachlan at the end of this term. Although I don't know who she is it will be good I'm sure.
10. Find a Joseph Fiennes clone whose main concern is not sex and who doesn't think "I can't understand why any woman would not want to pluck her eyebrows" and who isn't a sporty prejudiced Score twat. And who isn't gay. Ok so that might be difficult. Maybe not a physical clone of JF then, but who is as lovely personality-wise as JF is physically. I don't think there are many of them at Warwick...
Wow, ten, that's more than I expected. Anyway I think I'm going to watch Friends and go to bed so I can get up early and work. Bye bye my fellow Bobs, sleep well xxx

Wednesday, October 06, 2004

Appointment of the "dis" variety

I have watched NYLON (I think it's supposed to be capitalised, hmm) for several weeks in a row, and it has been rather good. So imagine my disappointment to find that it has no ending! Tonight's final episode consisted of the usual to-ing and fro-ing across the Atlantic and the usual falling out/getting back together pattern, then in the last ten minutes they fell out and went to their respective homes, with a "call me" message from Edie on Micheal's home phone. Which they never showed him getting. Because he was on a bridge somewhere, pondering. And I think she was too. There was a lot of simultaneous bridge-pondering in NYLON. Anyway, nothing happened! I can understand the writers thinking "One of them moving across the Atlantic? No no no, too predictable for NYLON. Must create unpredictable ending, yes, unpredictable." but they could have killed one of them or something, not just left absolutely everything unresolved. How annoying.